XXI International CIPA Symposium, 01-06 October, Athens, Greece
Michael Moser, Klaus Hanke
University of Innsbruck, Surveying and Geoinformation Unit,
Technikerstraße 13a, A 6020 Innsbruck, Austria
{michael.t.moser, klaus.hanke}
KEY WORDS: Architecture, Photogrammetry, Modelling, Reconstruction, Visualisation, Retrieval, CAD
Gaudí was not only a visionary architect, but also a great constructing engineer. Creating an analog static method for calculation to
design a project, he was far ahead of everybody at his time. The stereostatic model of Colonia Güell amazes not only by its design,
but also, for current circumstances, by its dimensions and details (see figure 1.). Due to World War I only the crypt was built. The
model and all its documents were unfortunately destroyed.
This research followed several previous reconstructions analysis. For the first time it was possible to evaluate historical photographs
photogrammetrically. Through a geometrical reconstruction of the interior orientation from the unknown camera, parts oft the church
could be measured three dimensionally. To gain a higher structural density for the calculation a method from the single-image
photogrammetry, monoplotting, was used. Using this procedure and an approximate surface model, all visible components of the
photographs could be integrated in the three dimensional model. The succeeding modelling and visualisation clarified Gaudí´s
design. For uninvolved persons it is very difficult to identify this confusion of cords in the photos and in the three dimensional
model. These achievements serve predominantly as a base for further research by Graefe and Demjanov (University of Innsbruck,
Institut für Architekturtheorie und Baugeschichte).
Fig. 1. Image detail of the stereostatic model
About 100 years ago the famous Spanish architect Antonio
Gaudí spent ten years working on studies for the design, and
developing a new method for structural calculation based on a
“stereostatic model” built with cords and small sacks of pellets
(see figure 2.). The outline of the church was traced on a
wooden board (1:10 scale), which was then placed on the
ceiling of a small house next to the work site. Cords were hung
from the points where columns were to be placed. Small sacks
filled with pellets, weighing one ten-thousandth part of the
actual weight the arches would have to support, were hung from
each catenarian arch formed by the cords.
Fig. 2. System of the stereostatic model
XXI International CIPA Symposium, 01-06 October, Athens, Greece
Photographs were taken of the resulting model from various
angles, and the exact shape of the church's structure was
obtained by turning them upside-down. So architect Gaudí
could prove vertical sections or elevations of the building.
Only the crypt of the planned church in the Colonia Güell near
Barcelona, Spain, itself has been built (see figure 3). Then it
had to be stopped because of the outbreak of Word War I.
Decades later interest in Gaudí’s work and buildings increased
again. During the documentation of his work the importance of
Colonia Güell was discovered. It is regarded to be a first test for
Gaudí’s ideas for the church "La Sagrada Familia" (UNESCO
World Heritage List) which is still in a building process today
(HANKE, MOSER, 2006).
Various people tried a reconstruction of the church. The so far
best approach was an attempt carried out by the German
institute for “Flaechentragwerke” of Frei Otto in 1982. The
result of this research was a reproduction (scale 1:25) built by
the “Gaudí group” (Rainer Graefe, Jos Tomlow and Arnold
Walz). To succeed in their work only few details were available.
Of course there were publications made and measurements
taken, but the use of photogrammetry therefore was not possible
at this time and was rejected because of too few and
uncompleted data. The photographs were an important part,
reserved for comparison and analysis of the stereostatic model
(for detail see GRAEFE, TOMLOW, WALZ,).
Throughout further research of Graefe and Demjanov the
development of digital photogrammetry revived the interest in
original photographs for an optimal reconstruction.
After the second successful evaluation with temporary results,
early problems were under control. Because of the so far
unknown camera and its orientation it was essential to measure
other factors most precisely.
For the first reconstruction the size of the negatives was
unknown. The taken photos had been only reproductions with
unknown scale in x and y. This problem was solved by
digitizing the original glass plates. Further it was possible to
complete the technical details of the used camera in Barcelona.
Because of the now known original size and measurements of
the negatives a geometric reconstruction of the interior
orientation was feasible.
Fig. 3. Entrance facade of the crypt
The original non-metric photographs of Antonio Gaudí’s model
date back around the year 1900 (see figure 4). They have been
detected some years ago in a garret of an old Güell workers
settlement in Santa Coloma de Cervello. These are probably the
last existing ones because the rest of them had been destroyed
during the Spanish Civil War in the 1930s.
2.1 Geometric reconstruction of the interior orientation
As base for the reconstruction a few parallels like the wooden
board’s joints and the vertical strings were taken, as well as a
circular point pattern. Because of the parallelism of the loading
strings the horizontation of the camera could be controlled. The
horizontal wooden boards in combination with the circular
point pattern enabled an approach to the focal length and the
principal point of the image.
With Pascal’s doctrine the point pattern was connected and
refined to an ellipse (well known as a circle’s perspective
description). With the conjugate diameter of the ellipse the
principal point of the photo was determined.
This enabled the construction of a square. Using its diagonal the
focal length could be constructed. Besides the results fit with a
former dogma, that the shorter side of the negative correlates
with the focal length.
2.2 Multi-image photogrammetry
Fig. 4. Entrance facade of the stereostatic model
Due to the high resolution of the images technical details could
be precised. It enabled a better analysis of the stereostatic
model’s structure and the different periods of its construction. A
small change in the stereostatic model causes a general change
in its entire structure. The exact position and the direction of the
load determine the extent of the deviation. Only a few photos
date from the same period of time. On each image small
changes of the stereostatic model’s structure are visible. For
precise results of the photogrammetric evaluation deviations
must be reduced to a minimum.
The remaining camera positions were reduced to three points of
view. Two of them were on the main axis of the church. Due to
the bad orientation conditions the number of control points had
to be increased and improved. The circular point pattern
enabled a rectification of the control points on the wooden
XXI International CIPA Symposium, 01-06 October, Athens, Greece
boards of the altar. In combination with an old plan of the
cryptas’s column positions an optimal orientation of the three
images could be reached.
For the following photogrammetric bundle block adjustment all
data could be assembled. Compared to the first try the numbers
of details were augmented. The results were surprisingly stabile
and enabled the involvement of two exterior images.
Despite their low resolution the illustrations of the former
publications (early 20th century) were useful. In a following
step the altar was completed in its structure (see figures 5 – 6).
Gaudí used these images for his over-paintings. The camera
positions of the exterior images enabled an inclusion of Gaudí’s
preserved over-paintings.
2.3 Single-image photogrammetry
2.3.1 Approximation of the shape: Up to now many parts of
the stereostatic model could not be evaluated by multi-image
photogrammetry, because important details were displayed on
one photo only. To reconstruct an approximate cord model from
only one photograph monoplotting turned out to be a reasonable
method. This approach allows a complete integration of the
available information of the image into the three dimensional
model of the church.
2.3.2 Monoplotting: This method enables a spatial
determination of a certain point from a single photograph. A
desired point is calculated by the intersection of the projected
rays with a digital surface model (see figure 7). The interior and
exterior orientation is taken by multi-image photogrammetry
(for detail see LUHMANN). The reconstructed wire frame
model of the church served as a base for the required surface
Fig. 5. Ground view - results of multi-image photogrammetry
Fig. 7. Monoplotting
2.4 Initial situation - improved structural analysis and
targeting of structural pieces
The results of the photogrammetric evaluation were imported to
a CAD software. The upgraded image quality by digitalizing the
original glass plates enabled a control of the antecedent
structural analysis. In addition the number of assignable
components could be increased. Furthermore the construction
system of the church could be investigated more precisely.
Hidden and diffuse areas in the photos of the cord structure
could be reconstructed.
2.5 Digital surface model with geometric estimates
Fig. 6. Side view - results of multi-image photogrammetry
For further processing the wire frame model of the church’s
evaluated structure could not be used as a surface model. The
advanced structure and system analysis of the stereostatic model
enabled a better initial situation for geometric estimates. It
could be precisely considered how the surfaces between the
cords were created. The intention of the single-image
photogrammetry was not to gain an exact reconstruction, but to
achieve the best possible approximation to the original design.
Using the available photos for an exact reconstruction was not
the aim, because several regions of the cord model were
displayed on only one photograph and a couple of cords were in
different design stages. In every image minor differences have
Here the article breaks off for data records =
Here is crystalline LiCoSiO4 at its relaxed geometry from Materials Project. Energies are from GGA+U.

a b c (Å): 10.156 5.796 4.771
angles (deg): 90.00 90.00 90.00
Sites, in units of the cell vectors:
Li 0.000 0.000 0.000
Li 0.000 0.500 0.000
Li 0.500 0.000 0.500
Li 0.500 0.500 0.500
Co 0.224 0.250 0.483
Co 0.276 0.750 0.983
Co 0.724 0.250 0.017
Co 0.776 0.750 0.517
Si 0.093 0.750 0.444
Si 0.407 0.250 0.944
Si 0.593 0.750 0.056
Si 0.907 0.250 0.556
O 0.055 0.250 0.689
O 0.101 0.750 0.784
O 0.172 0.532 0.288
O 0.172 0.968 0.288
O 0.328 0.032 0.788
O 0.328 0.468 0.788
O 0.399 0.250 0.284
O 0.445 0.750 0.189
O 0.555 0.250 0.811
O 0.601 0.750 0.716
O 0.672 0.532 0.212
O 0.672 0.968 0.212
O 0.828 0.032 0.712
O 0.828 0.468 0.712
O 0.899 0.250 0.216
O 0.945 0.750 0.311

Summary:
E (MP2020) in eV per atom: -7.18
Total moment in μB/f.u.: 2.00
E_form in meV/atom: -2286
SG: Pnma

~~~~~

Here is a relaxed ZnB4O7 crystal from the Materials Project database. Energies are from PBE.

a = 6.3638 Å, b = 6.3638 Å, c = 5.2211 Å
α = 90.00°, β = 90.00°, γ = 118.07°
Closest atoms and distances in Å follow each position.
Sites, in units of the cell vectors:
Zn: 0.7661 0.7661 0.7500  5 O 2.05-2.07
Zn: 0.2339 0.2339 0.2500  5 O 2.05-2.07
B: 0.7024 0.2976 0.5000  4 O 1.45-1.56
B: 0.2976 0.7024 0.0000  4 O 1.45-1.56
B: 0.7024 0.2976 0.0000  4 O 1.45-1.56
B: 0.6896 0.9246 0.2500  4 O 1.44-1.57
B: 0.9246 0.6896 0.2500  4 O 1.44-1.57
B: 0.2976 0.7024 0.5000  4 O 1.45-1.56
B: 0.0754 0.3104 0.7500  4 O 1.44-1.57
End of the data records =
been detected. Especially the exterior photograph of the church
XXI International CIPA Symposium, 01-06 October, Athens, Greece
caused problems. Some cords of the stereostatic model in this
image were missing or differently arranged. In addition the
internal space was covered with cloths for a better view.
Unfortunately all these factors had an effect on the stereostatic
model. Our main interest was focused on two inside photos of
the church.
2.6 Surface for intersection
2.6.5 Intersection surface on the basis of boundary lines:
With complex shapes and known boundary lines it is possible to
complete the missing points with a cut of an edge defined
surface. For the entrance facade the level curves for the crypt
and the roof level were reconstructed. The right edge of the wall
was already known from the evaluation of the stair tower (see
figure 9). The surface generated by the available edges served as
slice plane for the rays of the wanted points.
2.6.1 Single unknown points: In the calculated structure not
all points of a constructional element could be referenced. They
were covered or cut off on the photo. The intersection surface
served as connecting line, or spline, of the proximate and
already calculated points in ground or side views.
2.6.2 Several unknown points in a constructional element
with large or similar load: Depending on the type of weight,
cords in a stereostatic model can generate very homogeneously
compared to proximate cords. At constant load, identical length
of the strings, depending on the connecting line of the endpoints
of the cords, a homogenous form can be generated. An
alternative would be vertically charged heavy weights. The
surfaces between the boundaries are approximate plane. The
user coordinate system for the cutting plane is defined by three
vertices of the bordering structure.
2.6.3 Vertical intersection surface: A special form in the
model are free-standing arches. They are fixed only on their
bases and are vertically loaded (see figure 8). The arches are
basically elements of galleries and single wall segments. In
general, for a reconstruction both root points are used. With
only one base the direction must be known. It can be overtaken
by analog elements in similar situations.
Fig. 9. Surface model of the entrance facade
2.6.6 Takeover of silhouettes: Using multi-image
photogrammetry two exterior photographs with poor image
quality could be orientated, but the visibility of the cords was
very limited. For referencing only the back wall of the altar area
was useful. Although silhouettes were visible, an integration to
the 3D model was not possible. Using monoplotting it is
possible to reconstruct contours of certain components. The
intersection surface is parallel to the image plane and arranged
through a known point. The devolved shape to the 3D model
was the base to construct the component.
2.7 Reprojection
Fig. 8. Free-standing arches
2.6.4 Section with a level curve or altitude reference:
Gaudí used approximately horizontal supporting cords to adjust
the shape of the model or for an equal form of the wall. These
cords are found mainly in the wall at the bases of the galleries
and as horizontal rings for the towers. A possibility to
reconstruct the shape of the level curve is further a horizontal
supposition with an altitude reference to the photogrammetric
evaluation. This temporary result will be completed, if possible,
by further details. In search of an optimal form of the wall, all
points are connected with a spline. A good approximation of the
supporting cords in their different levels can be achieved by
removing the obvious bends in the line.
The first control of monoplotting is a reprojection of
photographs, with poor quality, qualify for a comparison of
outside edges and proportions. An augmentation of precision in
the 3D model of the church is feasible.
A further application is an adaptation of constructed
components without an integration of projection rays. For the
right stair tower only a few edges, near the spire, could be
measured by photogrammetry. From a pocketbook of Gaudis
assistant the hanging basis coordinates of the stereostatic model
in the crypt are known, as a consequence the ground plan of the
stairs, too. With an altitude reference of the multi-image
photogrammetry the highest ring of the stairs helix could be
determined. Comparing the edges from the photogrammetry, an
equal gradient of the helix was noticed. The initial situation for
the construction of the stair tower was an estimate of a constant
helix in the model and the two ground plans of the crypt and the
XXI International CIPA Symposium, 01-06 October, Athens, Greece
roof level. Using the re projection of the stairs the confusion of
cords could be unscrambled and reference points were found.
Through this a further alignment and correction was possible.
2.8 Evaluation of results
Considering all available measurement methods a three
dimensional surveying is seen to be best qualified. Without
exact information of the section level, such a complex shape of
a church is very hard to read in a 2D plan. A subsequent
modelling would create a lot of work and would not be as
The measurement is simply a control for the three dimensional
model. It was only used for one determination of a base, a
column in the entrance area, during the reconstruction. The
conformity of the various results (see figure 10 and 11) of
comparable areas is surprisingly good, considering all potential
sources of error from surveying of the original model, to the
building of the crypt and at least the measurement and
reconstruction of the church itself. The constant corkscrew
staircase shows only a little deviation, too. Errors occur, if, at
the estimated beginning and end of the stair tower’s helix.
2.9 Modelling and visualisation
The results of the photogrammetry served as skeletal structure.
The diameter of columns could be determined by monoplotting.
All further dimensions of components were taken from the datas
of Graefe and Demjanov. Although modelling does not provide
further research results, it is an important instrument to
understand Gaudí’s concept. To look through a “chaos of
cords” on the images, or the three dimensional wire frame
model, much time and patience is necessary. However it is
difficult to imagine the form and especially the details of the
Fig. 12: “Chaos of cords”
Some original over-paintings are preserved, but they cannot
give an overall impression. A three dimensional model features
a sequence of applications, that are very useful in this complex
construction, especially for further research for Graefe and
Demjanov, their current models’ construction and following
publications. Various sections can be shown without big time
efforts. This advantage can only be realized by a 3D method.
Fig. 10: Ground view - results of monoplotting
Fig. 11. Side view - results of monoplotting
The result of this research was surprisingly good for all
involved groups. Although an approximation method was used,
it is currently the most precise possibility for a reconstruction of
the church. An essential advantage of monoplotting is the small
deviation in the height. The closer a wanted point on a
photograph is to the imagine horizon, the smaller is the
tolerance in the model. A reason for this method was also the
position of unsolved details after the multi-image
photogrammetry. Most of the wanted components were in the
middle of the image.
Because of photogrammetry many detailed questions could be
answered. One of the most frequently discussed problems was
the level curve of the gallery and the respective hights of their
arches, the connection of the stair tower to the church and the
What comes next are data records, not part of the piece >
┌──
Entry 1:
Computed, not measured: crystalline Li3FeO3 at its relaxed geometry at the GGA+U level of DFT.

Unit cell a=5.9047 b=5.8860 c=8.4295 alpha=90.00 beta=90.00 gamma=90.00
Element x y z (fractional)
Li (0.0056, 0.0175, 0.2487)
Li (0.0056, 0.4825, 0.2487)
Li (0.2445, 0.7500, 0.9758)
Li (0.2555, 0.2500, 0.4758)
Li (0.4944, 0.5175, 0.7487)
Li (0.4944, 0.9825, 0.7487)
Li (0.5056, 0.0175, 0.2513)
Li (0.5056, 0.4825, 0.2513)
Li (0.7445, 0.7500, 0.5242)
Li (0.7555, 0.2500, 0.0242)
Li (0.9944, 0.5175, 0.7513)
Li (0.9944, 0.9825, 0.7513)
Fe (0.2190, 0.2500, 0.0172)
Fe (0.2810, 0.7500, 0.5172)
Fe (0.7190, 0.2500, 0.4828)
Fe (0.7810, 0.7500, 0.9828)
O (0.0000, 0.0000, 0.0000)
O (0.0000, 0.5000, 0.0000)
O (0.0231, 0.7500, 0.3902)
O (0.2400, 0.7500, 0.7378)
O (0.2600, 0.2500, 0.2378)
O (0.4769, 0.2500, 0.8902)
O (0.5000, 0.0000, 0.5000)
O (0.5000, 0.5000, 0.5000)
O (0.5231, 0.7500, 0.1098)
O (0.7400, 0.7500, 0.7622)
O (0.7600, 0.2500, 0.2622)
O (0.9769, 0.2500, 0.6098)

Results
- Formation enthalpy at 0 K: -13.78 eV/f.u.
- ρ: 2826 kg/m³

Entry 2:
Computed, not measured: crystalline Li2VCrO4 at its relaxed geometry at the GGA+U level of DFT.

Unit cell a=5.9782 b=5.9782 c=5.9782 alpha=120.59 beta=120.45 gamma=89.11
Element x y z (fractional)
Li (0.0000, 0.0000, 0.0000)
Li (0.5000, 0.0000, 0.0000)
Li (0.5000, 0.0000, 0.5000)
Li (0.5000, 0.5000, 0.5000)
V (0.0000, 0.0000, 0.5000)
V (0.0000, 0.5000, 0.0000)
Cr (0.0000, 0.5000, 0.5000)
Cr (0.5000, 0.5000, 0.0000)
O (0.2269, 0.7395, 0.4875)
O (0.2464, 0.2627, 0.5164)
O (0.2464, 0.7300, 0.9836)
O (0.2480, 0.2605, 0.9875)
O (0.7520, 0.7395, 0.0125)
O (0.7536, 0.2700, 0.0164)
O (0.7536, 0.7373, 0.4836)
O (0.7731, 0.2605, 0.5125)

Results
- Formation enthalpy at 0 K: -19.43 eV/f.u.
- ρ: 4007 kg/m³

Entry 3:
Computed, not measured: crystalline Li2CrNiO4 at its relaxed geometry at the GGA+U level of DFT.

Unit cell a=5.8481 b=5.8481 c=5.8481 alpha=120.22 beta=120.00 gamma=89.81
Element x y z (fractional)
Li (0.0000, 0.0000, 0.0000)
Li (0.5000, 0.0000, 0.0000)
Li (0.5000, 0.0000, 0.5000)
Li (0.5000, 0.5000, 0.5000)
Cr (0.0000, 0.5000, 0.5000)
Cr (0.5000, 0.5000, 0.0000)
Ni (0.0000, 0.0000, 0.5000)
Ni (0.0000, 0.5000, 0.0000)
O (0.2217, 0.7375, 0.4842)
O (0.2466, 0.2625, 0.9842)
O (0.2509, 0.2697, 0.5188)
O (0.2509, 0.7320, 0.9812)
O (0.7491, 0.2680, 0.0188)
O (0.7491, 0.7303, 0.4812)
O (0.7534, 0.7375, 0.0158)
O (0.7783, 0.2625, 0.5158)

Results
- Formation enthalpy at 0 K: -15.67 eV/f.u.
- ρ: 4435 kg/m³

Entry 4:
Computed, not measured: crystalline NaVP2O8 at its relaxed geometry at the GGA+U level of DFT.

Unit cell a=7.6357 b=13.7247 c=6.2543 alpha=90.00 beta=98.48 gamma=90.00
Element x y z (fractional)
Na (0.0830, 0.2040, 0.1546)
Na (0.0830, 0.2960, 0.6546)
Na (0.9170, 0.7040, 0.3454)
Na (0.9170, 0.7960, 0.8454)
V (0.2390, 0.5762, 0.7669)
V (0.2390, 0.9238, 0.2669)
V (0.7610, 0.0762, 0.7331)
V (0.7610, 0.4238, 0.2331)
P (0.1712, 0.5172, 0.2532)
P (0.1712, 0.9828, 0.7532)
P (0.3598, 0.1313, 0.5336)
└──
Here the piece continues >
possible entry or exit of the stairs and a confirmation of Graefe
and Demjanov’s supposition of a level grid in the stairs helix.
The photogrammetry answered the difficult question about the
shape of the altar area with its three towers and the entrance`s
facade with its complex structure. At the moment there is no
other method available which leads to comparable results. At
the beginning only planned as a supporting method,
photogrammetry turned out to be the most important part for
this research project.
XXI International CIPA Symposium, 01-06 October, Athens, Greece
GRAEFE, R., TOMLOW, J., WALZ, A.: Ein verschollenes
Modell und seine Rekonstruktion. In: Bauwelt, 1983, 15.
pp. 568-573.
GRIMM, A., HANKE, K.: Example of data fusion and 3D
presentation of a very complex irregular building. Paper
presented at the CIPA Symposium 2001, Potsdam, Germany.
The ISPRS International Archives of Photogrammetry and
Remote Sensing Vol. XXXIV - 5/C7 (ISSN 1682 - 1750) and
The CIPA International Archives for Documentation of Cultural
Heritage Vol. XVIII - 2001 (ISSN 0256 - 1840)
LUHMANN T.: Nahbereichsphotogrammetrie.
Wichmann Verlag, 2003.
MOSER, M.: Gaudí’s Hängemodell der Colonia Güell.
Diploma theses, University of Innsbruck, 2006.
TOMLOW, J. (with contributions by Graefe, R.): Das Modell.
Karl Krämer Verlag 1989.
HANKE K., MOSER M., 2006: Scanning of Antonio Gaudí’s
Original Images of his Draft for a Church in Barcelona
The ISPRS International Archives of Photogrammetry, Remote
Sensing and Spatial Information Sciences Vol. XXXVI, Part 5,
ISSN 1682-1750.
The work was supported by the Jubiläumsfonds of the
Oesterreichische Nationalbank, and is a cooperation of the
Surveying and Geoinformation Unit with the Institut fuer
Architekturtheorie und Baugeschichte, University of Innsbruck.